What is needed: restate only the lines below with the word "I1" in them.
1.
For CsThPaS6, a DFT-relaxed cell (GGA-PBE, Alexandria) gives the theoretical powder X-ray diffraction pattern in this record (Cu Ka).

Structure:
abc: 9.025 10.473 11.177
angles: 90.00 90.00 90.00
Space group Imma (No. 74)
Asymmetric unit:
Cs  0.000  0.250  0.179 [4 per cell]
Th  0.250  0.250  0.750 [4 per cell]
Pa  0.000  0.000  0.500 [4 per cell]
S  0.000  0.250  0.563 [4 per cell]
S  0.000  0.250  0.879 [4 per cell]
S  0.237  0.007  0.365 [16 per cell]

Most intense lines, 2θ from 15° to 90°, low angle first:
- (1 2 1), d = 4.198 Å, 21.16°, rel. 85
- (2 1 1), d = 3.886 Å, 22.89°, rel. 79
- (0 2 2), d = 3.821 Å, 23.28°, rel. 100
- (2 0 2), d = 3.511 Å, 25.37°, rel. 64
- (1 0 3), d = 3.444 Å, 25.87°, rel. 47
- (2 1 3), d = 2.771 Å, 32.31°, rel. 36
- (2 3 1), d = 2.681 Å, 33.43°, rel. 34
- (0 4 0), d = 2.618 Å, 34.25°, rel. 48
- (2 2 4), d = 2.163 Å, 41.75°, rel. 78
- (4 2 2), d = 1.943 Å, 46.75°, rel. 36

***

2.
For V6RuW3, a DFT-relaxed cell (GGA-PBE, Alexandria) gives the theoretical powder X-ray diffraction pattern in this record (Cu Ka).

Structure:
abc: 7.482 4.315 9.163
angles: 90.00 105.91 90.00
Space group P2_1/m (No. 11)
Asymmetric unit:
V  0.048  0.250  0.398 [2 per cell]
V  0.146  0.750  0.198 [2 per cell]
V  0.149  0.250  0.701 [2 per cell]
V  0.246  0.250  0.998 [2 per cell]
V  0.347  0.750  0.802 [2 per cell]
V  0.450  0.250  0.602 [2 per cell]
Ru  0.051  0.750  0.900 [2 per cell]
W  0.246  0.750  0.501 [2 per cell]
W  0.349  0.250  0.299 [2 per cell]
W  0.451  0.750  0.101 [2 per cell]

Most intense lines, 2θ from 15° to 90°, low angle first:
- (1 0 1), d = 4.948 Å, 17.93°, rel. 3
- (2 0 1), d = 3.053 Å, 29.26°, rel. 29
- (1 1 3), d = 2.159 Å, 41.85°, rel. 100
- (2 2 1), d = 1.762 Å, 51.88°, rel. 8
- (2 2 -4), d = 1.526 Å, 60.67°, rel. 16
- (4 2 -3), d = 1.366 Å, 68.70°, rel. 4
- (3 1 4), d = 1.365 Å, 68.79°, rel. 8
- (5 1 -5), d = 1.248 Å, 76.32°, rel. 6
- (3 3 -1), d = 1.246 Å, 76.42°, rel. 13
- (1 3 3), d = 1.245 Å, 76.48°, rel. 14

***

3.
For Sm6Ga3Ir, a DFT-relaxed cell (GGA-PBE, Alexandria) gives the theoretical powder X-ray diffraction pattern in this record (Cu Ka).

Structure:
abc: 8.817 11.733 5.134
angles: 90.00 90.00 90.00
Space group Pnnm (No. 58)
Asymmetric unit:
Sm  0.004  0.247  0.000 [4 per cell]
Sm  0.158  0.086  0.500 [4 per cell]
Sm  0.181  0.420  0.500 [4 per cell]
Ga  0.000  0.500  0.000 [2 per cell]
Ga  0.160  0.731  0.500 [4 per cell]
Ir  0.000  0.000  0.000 [2 per cell]

Most intense lines, 2θ from 15° to 90°, low angle first:
- (1 3 1), d = 2.931 Å, 30.49°, rel. 100
- (0 0 2), d = 2.567 Å, 34.95°, rel. 46
- (3 0 1), d = 2.551 Å, 35.19°, rel. 89
- (2 4 0), d = 2.445 Å, 36.76°, rel. 58
- (2 3 2), d = 1.930 Å, 47.09°, rel. 21
- (2 4 2), d = 1.769 Å, 51.66°, rel. 15
- (3 6 1), d = 1.552 Å, 59.57°, rel. 12
- (3 0 3), d = 1.479 Å, 62.84°, rel. 17
- (2 8 0), d = 1.392 Å, 67.25°, rel. 11
- (6 0 2), d = 1.275 Å, 74.39°, rel. 10

~~~~~

# 1
Calculated powder X-ray diffraction pattern of Pm4Pb2I3 for copper Kα, from a structure optimized by DFT (GGA-PBE).
Lines closer than 0.1° are merged.

Structure:
```
data_Pm4Pb2I3
_cell_length_a 7.8859
_cell_length_b 4.5529
_cell_length_c 18.6590
_cell_angle_alpha 90.00
_cell_angle_beta 90.06
_cell_angle_gamma 90.00
_space_group_name_H-M_alt 'C 1 2/m 1'
_space_group_IT_number 12
_space_group_name_Hall '-C 2y'
loop_
_atom_site_label
_atom_site_type_symbol
_atom_site_fract_x
_atom_site_fract_y
_atom_site_fract_z
Pm1 Pm 0.0008 0.0000 0.2945
Pm2 Pm 0.1664 0.5000 0.8896
Pb1 Pb 0.1672 0.5000 0.2002
I1 I 0.0000 0.0000 0.0000
I2 I 0.1656 0.5000 0.6024
```

The 10 most intense peaks (2θ from 10° to 90°), in order of rising 2θ:
2theta  intensity  hkl
26.77  100  2 0 3
29.67  32  1 1 -4
36.81  15  1 1 6
39.59  48  3 1 0
40.86  39  2 0 -7
48.44  20  2 2 3
58.20  12  2 2 -7
64.27  17  5 1 3
64.58  20  3 1 10
72.69  13  5 1 -7

---

# 2
Calculated powder X-ray diffraction pattern of Ba5Al3 for copper Kα, from a structure optimized by DFT (GGA-PBE).
I1 I 0.0000 0.0000 0.0000